~~~
# 1
Below is crystalline SmTmTe3 at its relaxed geometry, with properties calculated at the PBE level.

abc: 8.231 4.349 17.309
angles: 90.00 90.00 90.00
Atoms (fractional coordinates):
Sm  0.134  0.250  0.200
Sm  0.366  0.750  0.700
Sm  0.634  0.250  0.300
Sm  0.866  0.750  0.800
Tm  0.227  0.750  0.459
Tm  0.273  0.250  0.959
Tm  0.727  0.750  0.041
Tm  0.773  0.250  0.541
Te  0.005  0.250  0.394
Te  0.117  0.750  0.063
Te  0.158  0.250  0.786
Te  0.342  0.750  0.286
Te  0.383  0.250  0.563
Te  0.495  0.750  0.894
Te  0.505  0.250  0.106
Te  0.617  0.750  0.437
Te  0.658  0.250  0.714
Te  0.842  0.750  0.214
Te  0.883  0.250  0.937
Te  0.995  0.750  0.606

## Properties
* ΔE_f (raw): -1371 meV/atom
* SG: Pnma (62)
* N(E_F): 0.06 states/eV per atom

***

# 2
Below is crystalline Co2HgPb at its relaxed geometry, with properties calculated at the PBE level.

abc: 3.795 3.963 5.215
angles: 90.00 111.23 90.00
Atoms (fractional coordinates):
Co  0.000  0.000  0.000
Co  0.121  0.500  0.245
Hg  0.707  0.000  0.417
Pb  0.407  0.500  0.816

## Properties
* DFT formation energy: 0.4435 eV per atom
* SG: Pm (6)
* N(E_F): 1.24 states/eV per atom

***

> What is the formula in the second record?

Co2HgPb
~~~

Please retype the whole of the rows above without altering anything.

# 1
Below is crystalline SmTmTe3 at its relaxed geometry, with properties calculated at the PBE level.

abc: 8.231 4.349 17.309
angles: 90.00 90.00 90.00
Atoms (fractional coordinates):
Sm  0.134  0.250  0.200
Sm  0.366  0.750  0.700
Sm  0.634  0.250  0.300
Sm  0.866  0.750  0.800
Tm  0.227  0.750  0.459
Tm  0.273  0.250  0.959
Tm  0.727  0.750  0.041
Tm  0.773  0.250  0.541
Te  0.005  0.250  0.394
Te  0.117  0.750  0.063
Te  0.158  0.250  0.786
Te  0.342  0.750  0.286
Te  0.383  0.250  0.563
Te  0.495  0.750  0.894
Te  0.505  0.250  0.106
Te  0.617  0.750  0.437
Te  0.658  0.250  0.714
Te  0.842  0.750  0.214
Te  0.883  0.250  0.937
Te  0.995  0.750  0.606

## Properties
* ΔE_f (raw): -1371 meV/atom
* SG: Pnma (62)
* N(E_F): 0.06 states/eV per atom

***

# 2
Below is crystalline Co2HgPb at its relaxed geometry, with properties calculated at the PBE level.

abc: 3.795 3.963 5.215
angles: 90.00 111.23 90.00
Atoms (fractional coordinates):
Co  0.000  0.000  0.000
Co  0.121  0.500  0.245
Hg  0.707  0.000  0.417
Pb  0.407  0.500  0.816

## Properties
* DFT formation energy: 0.4435 eV per atom
* SG: Pm (6)
* N(E_F): 1.24 states/eV per atom

***

> What is the formula in the second record?

Co2HgPb